2 Ways To Create Auto Increment Column In Oracle (Primary Key)
We can create Auto increment columns in oracle by using IDENTITY columns in Oracle 12c. And in Oracle Database does not have any exisiting feature to auto increment column values in table schema until Oracle 12c (mid 2014).
Auto increment columns widely used for auto-generating values for primary keys in Database tables.Most of the databases like SQL server etc have existing features to create auto increment columns.
In Oracle 12c they introduced IDENTITY columns which allows users to create auto increment columns.
In previous versions of Oracle this functionality developed using the combination of Sequences and Triggers.
In this tutorial I am going to explain these two ways to implement auto increment coulmns in Oracle database tables with examples,pros and cons of each method.
On this page
Create Auto increment column in oracle By using IDENTITY Column example
Create an IDENTITY column by using following syntax
CREATE TABLE auto_increment_column_table ( auto_increment_column_id NUMBER GENERATED ALWAYS AS IDENTITY, auto_increment_column_description VARCHAR2(50) );
Now we can insert rows into the table
INSERT INTO auto_increment_column_table (auto_increment_column_desc) VALUES ('Test Data'); --1 rows inserted
We have three options to create IDENTITY Column
We are using ALWAYS to force the use of IDENTITY. If we try to insert value into the IDENTITY column it will throw error saying cannot insert into a generated always identity column.
INSERT INTO auto_increment_column_table (auto_increment_column_id, auto_increment_column_desc) VALUES (NULL, 'Null Column'); INSERT INTO auto_increment_column_table (auto_increment_column_id, auto_increment_column_desc) VALUES (999, 'Manually inserting auto increment column'); --ORA-32795: cannot insert into a generated always identity column
Create IDENTITY column with BY DEFAULT option to insert values into IDENTITY column by referencing it in insert statement.
CREATE TABLE auto_increment_default_column ( auto_increment_column_id NUMBER GENERATED BY DEFAULT AS IDENTITY, auto_increment_column_desc VARCHAR2(50) ); INSERT INTO auto_increment_default_column (auto_increment_column_desc) VALUES ('Test Data'); INSERT INTO auto_increment_default_column (auto_increment_column_id, auto_increment_column_desc) VALUES (999, 'Manually inserting auto increment column'); INSERT INTO auto_increment_default_column (auto_increment_column_desc) VALUES ('Second Test Data');

Auto Increment Coulmn Oracle
If you are specifying identity column in insert statment then it will insert whatever value we given if not then it will insert automatically incremented value into the IDENTITY column.
But we cannot insert NULL value it will throw error
INSERT INTO auto_increment_default_column (auto_increment_column_id, auto_increment_column_desc) VALUES (NULL, 'Manually inserting auto'); cannot insert NULL into ("DEPLOY_ADMIN"."AUTO_INCREMENT_DEFAULT_COLUMN"."AUTO_INCREMENT_COLUMN_ID")
Use BY DEFAULT ON NULL option to create identity column to use auto incremented value if you specily NULL in identity column in insert statement.
CREATE TABLE auto_increment_default_null ( auto_increment_column_id NUMBER GENERATED BY DEFAULT ON NULL AS IDENTITY, auto_increment_column_desc VARCHAR2(50) ); INSERT INTO auto_increment_default_null (auto_increment_column_desc) VALUES ('Test Data'); INSERT INTO auto_increment_default_null (auto_increment_column_id, auto_increment_column_desc) VALUES (1000, 'Manually inserting auto increment column'); INSERT INTO auto_increment_default_null (auto_increment_column_desc) VALUES ('Second Test Data'); INSERT INTO auto_increment_default_null (auto_increment_column_id, auto_increment_column_desc) VALUES (NULL, 'Not Specified identity column');

Auto Increment Coulmn Oracle table
Additionally we can change the initial value of identity column and interval between the auto generated values by using following options. The default initial value and interval values for auto increment identity columns equals to 1.
- START WITH initial_value
- INCREMENT BY interval_value
CREATE TABLE identity_startwith ( id NUMBER GENERATED BY DEFAULT ON NULL AS IDENTITY START WITH 10, description VARCHAR2(100) not null ); CREATE TABLE identity_startwith_incr ( id NUMBER GENERATED BY DEFAULT ON NULL AS IDENTITY START WITH 10 INCREMENT BY 10, description VARCHAR2(100) not null );
In first table IDENTITY_STARTWITH the identity column starts with the value 10. and incremented by 1. Where as in second table IDENTITY_STARTWITH_INCR auto incemented column starts with 10 and incremented by 10.
When you create an identity column, Oracle generates 20 auto increment values before hand for performence reasons and Oracle recommends to include CACHE clause greater than the default of 20 to improve the performance.
CREATE TABLE auto_increment_table_cache (auto_increment_column_id NUMBER GENERATED ALWAYS AS IDENTITY CACHE 30, auto_increment_column_description VARCHAR2(50));
Create auto increment column in oracle By using Sequences and Triggers Example
In earlier versions of Oracle we used to create auto increment columns using Sequences and Triggers.
Create a table and add primary key to that table
CREATE TABLE auto_increment_tb( id NUMBER(10) NOT NULL, description VARCHAR2(100) NOT NULL );
And then add primary key constraint
ALTER TABLE auto_increment_tb ADD ( CONSTRAINT auto_increment_tb_pk PRIMARY KEY (id) );
Now we will create a sequence to generate unique auto incremented values.
A sequence is a data object that can be used by multiple users to generate auto increment values(no duplicate values will be generated).
CREATE SEQUENCE auto_increment_tb_seq;
We created sequence and but we are not using it. We will add a TRIGGER on table insert event.
CREATE OR REPLACE TRIGGER auto_increment_tb_insert BEFORE INSERT ON auto_increment_tb FOR EACH ROW BEGIN SELECT auto_increment_tb_seq.nextval INTO :new.id FROM dual; END;
Here we are creating a trigger named auto_increment_tb_insert which will be fired on each insertion on table auto_increment_tb.
We are getting next auto incremented value from created sequence by selecting auto_increment_tb_seq.nextval and inserting it into :new row of table ID column.
Best way to create auto increment column in oracle
Which is best way to insert auto incremented values into table? IDENTITY column or by using sequences and triggers?
Accroding oracle by using IDENTITY column in Oracle 12c is best way to create auto increment column than the older way of using Sequence and Triggers.
Limitations of IDENTITY Coulmn
- We can add only one IDENTITY column per table.
- We can add identity_clause only on Numeric datatype columns not on User-defined data types.
- We cannot add DEFAULT clause in column defincation if we use identity_clause.
# Next to the article, the page also holds molecular data
- - -
[1]
Here is an isolated molecule of C17H30FN3O6S from the OMol25 dataset. Energies are from ωB97M-V/def2-TZVPD.

Structure (XYZ):
```
58
Properties=species:S:1:pos:R:3:forces:R:3:mulliken_charge:R:1
C -2.6149 -3.3290 2.8439 0.01 0.01 0.00 -1.813
C -2.3347 -2.6187 1.5233 0.03 -0.02 0.00 0.775
C -3.1533 -1.3198 1.4616 -0.07 0.07 -0.01 -0.915
C -3.0822 -0.6996 0.0844 0.10 -0.09 -0.02 0.476
O -3.5747 -1.2255 -0.9001 0.00 0.01 0.00 -0.704
N -2.3921 0.4569 -0.0241 -0.10 0.14 0.05 0.115
C -1.6273 1.3035 0.8852 0.07 -0.10 -0.02 -1.041
C -1.2013 2.1414 -0.3466 -0.06 0.08 -0.04 2.186
F -1.6956 3.4271 -0.2842 0.10 -0.01 -0.03 -0.472
C 0.2993 2.1137 -0.5848 -0.24 0.09 0.26 -0.586
O 0.8675 1.0430 -0.4495 -0.02 0.02 0.04 -0.698
N 0.9882 3.2834 -0.7591 0.50 -0.30 -0.56 0.302
C 2.4323 3.1630 -0.5438 0.03 -0.02 -0.01 -1.303
C 3.1479 2.4774 -1.7060 0.04 -0.02 0.00 -0.272
S 4.9065 2.4847 -1.4947 0.00 0.03 0.00 1.252
O 5.5045 1.7322 -2.5534 -0.02 0.03 0.03 -0.633
O 5.3162 3.8156 -1.1905 -0.01 -0.06 -0.01 -0.609
O 5.0766 1.6451 -0.1472 -0.01 0.03 -0.04 -0.495
C 0.6489 4.4237 -1.6212 -0.39 0.33 0.62 -0.175
C -0.6165 4.3840 -2.4656 0.15 -0.09 -0.26 0.157
N -0.7832 3.2625 -3.2228 -0.05 -0.03 0.10 -0.286
O -1.3547 5.3375 -2.5213 -0.02 -0.04 -0.02 -0.627
C -2.0523 1.1995 -1.2252 -0.03 -0.06 -0.01 -1.089
C -0.8572 -2.2813 1.2784 -0.03 0.00 0.00 -1.004
C 0.1740 -3.4177 1.1151 0.00 -0.01 -0.01 2.205
C 0.6540 -3.9657 2.4626 0.00 0.00 0.00 -1.783
C 1.3894 -2.8190 0.3984 0.02 0.00 -0.01 -1.922
C -0.3931 -4.5524 0.2612 -0.01 0.00 0.00 -1.930
H -2.1687 -2.7896 3.6840 0.00 0.00 0.00 0.353
H -3.6901 -3.3960 3.0213 0.00 0.01 0.00 0.460
H -2.2234 -4.3445 2.8511 0.02 -0.01 0.00 0.320
H -2.6928 -3.2474 0.7039 0.00 0.01 -0.01 0.430
H -4.2062 -1.5338 1.6548 0.02 -0.03 0.01 0.517
H -2.8075 -0.6254 2.2331 0.00 0.00 0.00 0.347
H -2.2289 1.8829 1.5872 0.00 0.01 -0.02 0.334
H -0.8042 0.7959 1.3863 -0.01 0.01 0.02 0.168
H 2.8321 4.1662 -0.3991 -0.01 0.00 -0.01 0.551
H 2.6006 2.5956 0.3687 -0.02 -0.02 -0.01 0.432
H 2.8362 1.4394 -1.8060 0.00 0.01 0.01 0.260
H 2.9898 2.9947 -2.6550 0.01 0.01 0.00 0.358
H 5.3182 0.7368 -0.3802 0.01 -0.02 0.01 0.363
H 0.5696 5.3245 -1.0142 -0.01 0.02 -0.02 0.241
H 1.4759 4.5739 -2.3215 0.01 -0.02 0.00 0.397
H -0.0785 2.5492 -3.2833 0.02 0.00 -0.03 0.215
H -1.5462 3.2461 -3.8784 0.00 0.00 -0.02 0.238
H -1.4959 0.6152 -1.9600 -0.01 0.01 0.02 0.313
H -2.8956 1.7051 -1.6956 0.01 0.01 -0.02 0.393
H -0.8116 -1.6872 0.3589 0.01 0.00 0.00 0.254
H -0.5111 -1.6167 2.0821 0.00 -0.01 0.01 0.342
H -0.1399 -4.4485 3.0288 -0.03 0.00 0.00 0.307
H 1.4423 -4.7060 2.3069 0.00 0.00 -0.01 0.468
H 1.0683 -3.1648 3.0801 0.00 0.01 0.00 0.394
H 1.1230 -2.4751 -0.6035 -0.01 0.01 0.01 0.396
H 1.7848 -1.9626 0.9507 -0.01 0.01 0.00 0.369
H 2.1879 -3.5584 0.3034 0.00 -0.01 0.01 0.498
H -0.7735 -4.1747 -0.6909 0.00 0.00 0.00 0.343
H 0.3830 -5.2900 0.0458 0.01 0.00 0.00 0.485
H -1.2100 -5.0708 0.7670 0.00 0.00 0.00 0.345
```
Forces are in eV/Å.

Summary:
net charge: 0
max |F|: 0.0158 Eh/bohr
- - -
# The molecular data stop here
- We can create one table from another by adding a AS SELECT statement at the end of the CREATE TABLE for example “create table new_emp AS SELECT * from emp”; New table wont inherit IDENTITY property on column.
- When you add an identity_clause, then NOT NULL constraint and NOT DEFERRABLE constraint are added by default (implicitly specified). If you add an inline constraint that conflicts with NOT NULL and NOT DEFERRABLE, then an error will occur.